Needing some help

Hello. I am Sarah and a single mother of an almost 2 year old.

# Here the piece breaks off for data records
# 1
ORCA calculation (the ωB97M-V functional and the def2-TZVPD basis) on a cluster of 3 separate species, C4H14N3O in total in a non-equilibrium geometry.

Summary:
Molar mass (u): 120.18
HOMO level (eV): -12.693
Largest force on an atom (eV/A): 3.9
Calculated total energy (Ha): -399.8456
Relative energy (zero: lowest compared OMol25 entry of this formula, charge and spin) (eV): 7.807
Lowest unoccupied orbital energy (eV): -8.72

ORCA input file:
```
! wB97M-V def2-TZVPD RIJCOSX def2/J DEFGRID3
* xyz 1 1
O 1.337 1.493 -1.220
N -0.747 -4.014 -2.746
N -1.900 2.477 0.880
N 1.645 -0.662 1.779
C 0.351 -0.844 -0.275
C 0.650 -0.302 0.884
C -0.028 0.999 1.295
C -1.300 1.234 0.461
H -1.985 0.418 0.675
H 2.103 -1.539 1.596
H 2.056 1.553 -1.863
H -0.274 1.036 2.367
H 0.166 -4.361 -3.038
H 1.117 0.505 -1.026
H 1.386 -0.559 2.745
H -0.746 -3.017 -2.676
H 0.678 1.814 1.106
H -2.833 2.612 0.512
H -0.985 1.248 -0.589
H 0.691 -1.850 -0.574
H -1.363 3.302 0.591
H -1.454 -4.356 -3.367
*
```

=====

# 2
ORCA calculation (the ωB97M-V functional and the def2-TZVPD basis) on a structure of composition C30H36F6N5O5PS3Sc in a non-equilibrium geometry.

Summary:
Molar mass (u): 832.77
<S²>: 0.7613
HOMO level (spin up / spin down) (eV): -8.067 / -8.065
Largest force on an atom (eV/A): 2.7
Calculated total energy (Ha): -4710.9690
Relative energy (zero: lowest compared OMol25 entry of this formula, charge and spin) (eV): 0.000
Lowest unoccupied orbital energy (spin up / spin down) (eV): -0.60 / -2.23

ORCA input file:
```
! wB97M-V def2-TZVPD RIJCOSX def2/J DEFGRID3
* xyz 0 2
Sc -3.606 -2.761 18.852
S -5.616 -1.207 20.557
S -2.645 -6.590 17.645
S -4.694 -6.717 15.567
P -1.778 -0.215 17.578
F -2.105 1.279 18.017
F -1.247 0.162 16.084
F -1.523 -1.839 17.251
F -2.407 -0.793 19.088
F -3.324 -0.393 16.993
F -0.285 -0.122 18.175
O -5.148 -1.111 19.119
O -4.615 -4.502 19.364
O -4.163 -3.146 16.765
O -5.369 -6.043 20.867
O -5.479 -0.064 21.416
N -3.168 -2.926 14.684
N -4.745 -2.484 20.982
N -5.420 -2.490 14.968
N -1.825 -3.593 19.674
N -5.318 -6.997 18.001
C -6.502 -2.094 15.818
C 1.672 -2.767 19.796
C -9.676 -0.744 20.491
C 0.586 -3.552 19.322
C -8.311 -0.583 20.802
C -2.951 -1.836 13.707
C -5.103 -4.874 20.545
C -5.682 -2.607 13.532
C -1.294 -3.929 23.917
C 0.607 -4.000 18.011
C 2.671 -2.381 18.919
C -0.677 -3.731 20.177
C 0.817 -5.041 23.468
C -10.105 -1.844 19.712
C 0.710 -4.723 22.105
C -5.347 -3.682 21.495
C -0.201 -4.668 24.357
C -6.414 -7.015 15.882
C -11.496 -2.083 19.159
C -9.153 -2.822 19.420
C -2.003 -3.725 15.079
C 2.659 -2.810 17.601
C -4.237 -2.863 15.533
C -0.435 -4.058 21.650
C -4.238 -6.810 17.220
C -7.392 -1.574 20.451
C -6.563 -7.399 17.333
C -7.800 -2.677 19.709
C 1.633 -3.654 17.139
C -1.410 -3.621 22.562
H -4.867 -3.939 22.465
H -12.223 -1.307 19.381
H -6.739 -7.805 15.208
H 1.686 -2.457 20.852
H -2.242 -4.434 15.902
H -0.236 -4.575 17.645
H -11.436 -2.231 18.067
H -1.149 -3.134 15.387
H -6.424 -3.586 21.659
H -6.745 -2.872 16.560
H -7.415 -6.895 17.827

I weigh 2x what I did before pregnancy and would like to get back to my prepregnancy weight. My excess weight is starting to cause me heath problems (diabetes, hypoactive thyroid) and is starting to effect my relationship with my daughter (due to having NO energy).

I am not very active due to always being to tired to do anything. After my daily tasks are done I do not have the energy (and motivation) to do anything extra and I really need help with that.

I soley take care of my almost 2 year old so I do not get any alone time. That also effects what I can do.

I also suffer from extreme depression. Some of which is weight related. I'm at a loss. I have tried this before and given up because I have seen no improvement. This is my last hope.


  • bearondiet
    bearondiet Posts: 53 Member
    Good luck. Once you find a working method making progress, weight loss is simple. You will reach your goal eventually.
  • moonlighto6
    moonlighto6 Posts: 2 Member
    Try taking your daughter for a walk. A little exercise will elevate your mood, entertain your daughter and help your weight loss. You dont have to go far the first time. Try just around the block.
  • christina_odis
    christina_odis Posts: 6 Member
    Sarah think of how good you will feel with yourself if you eat and look healthy. Try to find some time for your self to get out of depression! You can start a 30 minutes walking for a beginning
  • dubird
    dubird Posts: 1,849 Member
    First off, you've take the first step. Which is good. ^_^ Thing is, we all kinda have our own ways of losing weight, though they all follow the basic concept of burning more calories than we consume. I can give you suggestions on what I did, but you'll need to find a method that you consider sustainable that works with your schedule. The key word is 'sustainable'. If you try one of the fad diets (Atkins, paleo, whatever is out right now) and it's not a way of eating that you'll be happy sticking with for the rest of your life, it's not for you. It's ok to stop it and try something else.

    Second, it's ok to start small! I would suggest weighing your food for a week to see where you're starting from. It will be a shock to see just how much you normally eat, but that's ok. You're here to change that, but you need to know where you're coming from first. Once you know, change one thing at a time. Like, swap out soda for a lower-calorie drink you enjoy instead. Once you get used to that, change something else. Little changes, over time, will add up. You'll also be retraining your brain and body to what proper portions are, which will help you keep it off.

*i*
Entry from the OMol25 dataset: a 2-piece molecular cluster, C5H11N overall (ωB97M-V/def2-TZVPD).

Results
highest occupied orbital energy	-7.90	eV

Last columns: bonded neighbours and bond lengths (Å).
Cartesian coordinates (Å):
1 C 2.04 -0.85 -0.12  C2 1.524, H6 1.093, H7 1.095, H8 1.097
2 C 1.21 0.12 -0.95  C1 1.524, N3 1.467, H9 1.095, H10 1.109
3 N 0.87 1.29 -0.12  C2 1.467, C4 1.497, C5 1.452
4 C -0.51 1.87 -0.18  N3 1.497, C5 1.284, H11 1.081
5 C -0.20 1.16 0.85  N3 1.452, C4 1.284, H12 1.083
6 H 2.55 -1.57 -0.77  C1 1.093
7 H 2.81 -0.30 0.45  C1 1.095
8 H 1.43 -1.42 0.59  C1 1.097
9 H 1.83 0.55 -1.74  C2 1.095
10 H 0.36 -0.41 -1.42  C2 1.109
11 H -0.95 2.76 -0.60  C4 1.081
12 H -0.29 0.76 1.85  C5 1.083
13 C -2.23 -0.79 0.43  H14 1.091, H15 1.095, H16 1.097, H17 1.084
14 H -2.02 0.15 -0.09  C13 1.091
15 H -2.50 -0.60 1.47  C13 1.095
16 H -1.35 -1.44 0.41  C13 1.097
17 H -3.06 -1.29 -0.07  C13 1.084



*ii*
Entry from the OMol25 dataset: one molecule with the formula C5H11N (ωB97M-V/def2-TZVPD).

Results
highest occupied orbital energy	-7.10	eV

Last columns: bonded neighbours and bond lengths (Å).
Cartesian coordinates (Å):
1 C 2.57 -0.23 -0.42  C2 1.465, H7 1.104, H8 1.213, H9 1.088
2 C 1.14 -0.54 -0.49  C1 1.465, C3 1.484, H10 1.136, H11 1.099
3 C 0.21 0.33 0.27  C2 1.484, C4 1.369, H12 1.117
4 C -1.15 0.16 0.18  C3 1.369, C5 1.531, N6 1.362
5 C -2.11 0.54 1.31  C4 1.531, H13 1.139, H14 1.107, H15 1.093
6 N -1.69 -0.28 -0.99  C4 1.362, H16 1.028, H17 0.981
7 H 3.11 -0.27 0.55  C1 1.104
8 H 3.14 -1.06 -1.09  C1 1.213
9 H 3.02 0.64 -0.89  C1 1.088
10 H 1.01 -1.59 -0.08  C2 1.136
11 H 0.70 -0.32 -1.48  C2 1.099
12 H 0.71 1.18 0.80  C3 1.117
13 H -2.61 1.56 1.38  C5 1.139
14 H -2.84 -0.24 1.58  C5 1.107
15 H -1.59 0.62 2.28  C5 1.093
16 H -2.64 -0.01 -1.28  N6 1.028
17 H -0.99 -0.50 -1.64  N6 0.981



Relative energies, kJ/mol: *i* 196.2; *ii* 0.0.

* * * * *

Entry 1:
The following is a quantum chemistry calculation of 6 unconnected molecules or ions with the total composition C39H95BClN6O3 at a distorted geometry, from the OMol25 dataset.

## Properties
LUMO ... -4.047 eV
HOMO-LUMO gap ... 0.18810 hartree
Net charge ... +1

Geometry as XYZ:
```
145
Properties=species:S:1:pos:R:3:mulliken_charge:R:1
C 2.6661 -4.8768 3.1848 -0.5560
O 2.1217 -3.9258 4.1664 -0.3540
C 0.6782 -4.1385 4.4038 -0.5024
C -0.2585 -3.5376 3.1805 0.2023
C -0.7677 -1.9534 3.2943 -0.9796
C -1.8130 -1.8955 1.9908 0.5702
C -2.9652 -0.7333 2.0763 -0.5388
C -2.2268 0.6757 1.5597 -0.3504
O -2.1427 0.5354 0.0697 -0.5292
C -2.2293 -3.4707 1.8177 -0.6746
B -3.7393 -3.8862 1.3175 0.9391
C -4.6864 -5.0765 1.9886 -0.9306
O -4.3514 -3.1848 0.1340 -0.6228
N -1.5498 -4.3301 2.9038 0.2727
Cl -2.3464 -4.3358 4.4403 0.0627
H 2.2719 -5.9906 3.3280 0.2488
H 2.3685 -4.5133 2.0977 0.1967
H 3.8546 -4.9406 3.1866 0.2688
H 0.4002 -3.6601 5.4586 0.2964
H 0.5140 -5.3108 4.5559 0.3331
H 0.4069 -3.5124 2.2014 0.0871
H 0.1198 -1.1686 3.3120 0.3500
H -1.3258 -1.6802 4.3137 0.3359
[End of the records of molecules]

    Third, exercise is NOT needed for weight loss. You can lose weight by just controlling your calorie intake. There are lots of people on here that have done so, me included. Now, exercise is good for other things, so if you can add it do so, but if you can't or don't want to exercise right now, that's fine. If you do want to start, what moonlighto6 suggested is a good idea. Go outside with your daughter, walk in one direction for about 10 minutes, turn and walk back. Bam, 20 minute walk! Doesn't have to be fast, doesn't have to be far. You'll probably be limited to how far your daughter can go right now, but that's ok. The important thing is to start somewhere, even if it's a short start. You can build on that when feel ready to.

1.
== End of the data records ==

    Fourth, you will have off days. Unexpected dinners out, celebrations and holidays, days you just don't care. Just log it and move on. Going over doesn't sabotage your progress or makes you a failure. It just makes you human. We've all had off days, it's normal.
  • fedman79542
    fedman79542 Posts: 15 Member
    Good luck to you on your journey. I have tried many different diets before which included taking prescribed medication.. in my opinion my fitness pal by far is the best way to keep an up to date average of your daily calorie count allowing you to lose weight and maintain your ideal weight. I myself started using my fitness pal off and on well over a year ago. Up until now I personally never used the app to its full potential ( weighing in, using the community, etc) but I did use it to keep track of my calories and fat in take. I have lost over 100 pds with the help of my fitness pal and have had no problem keeping it off.You can lose your desired weight as well. I wish you the best.